
Thursday, 28 November 2024
• The entry is interrupted by crystal structures:
=====
w:
A plane-wave DFT calculation with PBE was carried out for a relaxed structure of AcPuGe.

The spin magnetization is 7.0 μB per formula unit. The calculation puts the density of states at the Fermi level at 3.573 states/eV per atom.

It has space group F-43m (No. 216), with a = 7.340 Å, b = 7.340 Å, c = 7.340 Å, α = 90.00°, β = 90.00° and γ = 90.00°. The asymmetric unit holds Ac at (0.000, 0.000, 0.000), Pu at (0.000, 0.000, 0.500) and Ge at (0.250, 0.250, 0.750).


x:
A plane-wave DFT calculation with PBE was carried out for a relaxed structure of AcPuGe.

The spin magnetization is 0.1 μB per formula unit. The calculation puts the density of states at the Fermi level at 1.606 states/eV per atom.

It has space group P4/nmm (No. 129, origin choice 2), with a = 3.706 Å, b = 3.706 Å, c = 11.685 Å, α = 90.00°, β = 90.00° and γ = 90.00°. The asymmetric unit holds Ac at (0.250, 0.250, 0.165), Pu at (0.250, 0.750, 0.500) and Ge at (0.250, 0.250, 0.691).


Most stable: w


w:
A plane-wave DFT calculation with PBE was carried out for a relaxed structure of Ac7Ge2Rh2.

The spin magnetization is 0.0 μB per formula unit. The calculation puts the density of states at the Fermi level at 0.993 states/eV per atom.

It has space group Imm2 (No. 44), with a = 4.465 Å, b = 16.229 Å, c = 10.035 Å, α = 90.00°, β = 90.00° and γ = 90.00°. The asymmetric unit holds Ac at (0.000, 0.000, 0.000), Ac at (0.000, 0.109, 0.384), Ac at (0.000, 0.314, 0.607), Ac at (0.000, 0.378, 0.216), Ge at (0.000, 0.239, 0.901), Rh at (0.000, 0.000, 0.650) and Rh at (0.000, 0.500, 0.699).


x:
A plane-wave DFT calculation with PBE was carried out for a relaxed structure of Ac7Ge2Rh2.

The spin magnetization is 0.0 μB per formula unit. The calculation puts the density of states at the Fermi level at 0.526 states/eV per atom.

It has space group Cmmm (No. 65), with a = 9.210 Å, b = 11.436 Å, c = 7.561 Å, α = 90.00°, β = 90.00° and γ = 90.00°. The asymmetric unit holds Ac at (0.000, 0.000, 0.000), Ac at (0.000, 0.500, 0.230), Ac at (0.250, 0.250, 0.258), Ge at (0.233, 0.000, 0.500) and Rh at (0.000, 0.264, 0.000).


Most stable: w


w:
A plane-wave DFT calculation with PBE was carried out for a relaxed structure of AcGe2Rh3.

The spin magnetization is 0.0 μB per formula unit. The calculation puts the density of states at the Fermi level at 0.351 states/eV per atom.

It has space group C2/m (No. 12), with a = 15.342 Å, b = 4.237 Å, c = 7.803 Å, α = 90.00°, β = 114.84° and γ = 90.00°. The asymmetric unit holds Ac at (0.159, 0.000, 0.085), Ge at (0.016, 0.500, 0.183), Ge at (0.174, 0.000, 0.632), Rh at (0.025, 0.000, 0.346), Rh at (0.113, 0.500, 0.712) and Rh at (0.180, 0.500, 0.433).


x:
A plane-wave DFT calculation with PBE was carried out for a relaxed structure of AcGe2Rh3.

The spin magnetization is 0.0 μB per formula unit. The calculation puts the density of states at the Fermi level at 0.581 states/eV per atom.
=====
• Here the entry continues:

A real ghost, so pure, so holy, said “Daniel 3”

 The Angel of God, His active presence, surrounds those who fear Him, to deliver them, like the three men in Daniel 3 were kept alive by angelic power in a raging fiery furnace. I was one day pondering how notable it had been that on many occasions the people who tried things which might ruin me, perhaps not even knowing that could be the outcome of the actions, were suddenly brought down by calamity, leaving me safe from harm. It was striking how it had been happening so much over the years. I had a Bible verse in mind which I thought must explain it, but it was all a bit new to me to be noticing such things and I longed for a bit of certainty of understanding as to whether the verse did apply. The verse said “The Angel of the LORD encompasses those who fear Him”. I did not know where in the Bible it came from. Probably a Psalm, I thought. I lay on my bed thinking about this. Suddenly in my head came words so clear they could have come from near me, but no, they were put into my head by something invisible. “Daniel 3.” I just knew it must be the Holy Spirit, although this had only ever once before happened to me, many years before. I realised it must be a Bible reference. In my living room, on a cabinet, I had a Bible. Someone gave it me years before as a study Bible with cross-references. I had rarely used it. I had other Bibles but this is the one I kept out, on top of my cabinet. I went to it and looked up Daniel chapter three. I started looking through the long chapter about men thrown into a fiery furnace for refusing to bow to an image of a Babylonian emperor. I saw nothing until the end of the chapter where there was the word “Angel” and beside it a cross reference. I knew what would come next. I checked the reference. Yes, it was a cross reference to that Psalm which said, “The Angel of the LORD encompasses those who fear Him”. The words which were in my head. It was showing me that the Angel in Daniel 3 was like what had been protecting me, surrounding me because I feared the LORD. How remarkable, extraordinary, that there was this Spirit reading my very innermost thoughts, which I had not spoken out loud, then answering my unspoken question. And had known what was in the margin of my study Bible and that I would look at this particular Bible. It stunned me. What stunned me most, in a delightful way, was how this Spirit, I assumed the divine, heavenly Holy Spirit, had used this brilliant way to prove to me this was not my imagination playing tricks on me. This was real. Impossible that it was not real. And that this Spirit had power to know my thoughts and speak right into them in crystal clear English words, and with just two words tell me so much. What wisdom. The Spirit, as the scripture says, of the fear of the LORD.